1 John 5
Believe in Jesus Christ
1 Everyone who believes that Jesus is God's Messiah has become a child of God. And if we love God, our Father, we will love his other children too. 2 How do we know that we love God's children? We know it when we love God and we do what he tells us to do. 3 Because, if we really love God, we will obey his commands. And those commands are not difficult for us to obey. 4 Because we have become God's children, we can live in a good way. We can refuse to live like people who belong to this world. We are able to win against the wrong ways of this world because we trust Jesus Christ. 5 It is only people who believe that Jesus is the Son of God who can do that. Only they can win against the wrong ways of this world.
6 Jesus Christ is the man that God sent into the world. John baptized Jesus in water. When Jesus died, his blood poured out. God showed that Jesus is his Son with the water and with the blood. It was not only with the water of Jesus' baptism. It was also with the blood of his death. God's Holy Spirit also shows us that Jesus is God's Son. The Holy Spirit always says what is true. 7 So there are three things that show us clearly that Jesus came from God. 8 Those things are the Holy Spirit, the water of Jesus' baptism and the blood of his death on the cross. These all show us the same thing, that Jesus came from God.
**Misplaced data records:**
- - -
No. 1
The following is a PBE-GGA calculation of Li3Tc after structural relaxation, from the Materials Project.

Output
Formation energy in eV/atom: 0.6145
Total energy in eV per atom: -3.41
Offset from the most stable computed form in meV/atom: 0.0
Density in g/cm3: 3.3
Space-group type: Fm-3m

Cell: 4.3874 4.3874 4.3874 Å, 60.00 60.00 60.00°
Positions (direct):
Li 0.0000 0.0000 0.0000
Li 0.2500 0.2500 0.2500
Li 0.7500 0.7500 0.7500
Tc 0.5000 0.5000 0.5000



No. 2
The following is a PBE-GGA calculation of Ba10Er5Cu15O34 after structural relaxation, from the Materials Project.

Output
Formation energy in eV/atom: -2.2041
Total energy in eV per atom: -6.09
Density in g/cm3: 6.9
Space-group type: P-1

Cell: 8.6182 8.7453 12.4479 Å, 97.77 105.91 91.10°
Positions (direct):
Ba 0.0283 0.2643 0.3185
Ba 0.1736 0.3369 0.6818
Ba 0.2179 0.8591 0.3113
Ba 0.3687 0.9346 0.6885
Ba 0.4272 0.4636 0.3180
Ba 0.5728 0.5364 0.6820
Ba 0.6313 0.0654 0.3115
Ba 0.7821 0.1409 0.6887
Ba 0.8264 0.6631 0.3182
Ba 0.9717 0.7356 0.6815
Er 0.0998 0.7992 0.9988
Er 0.2997 0.4003 0.0000
Er 0.5000 0.0000 0.0000
Er 0.7003 0.5997 0.0000
Er 0.9002 0.2008 0.0012
Cu 0.0000 0.0000 0.5000
Cu 0.0567 0.5277 0.1418
Cu 0.1432 0.0719 0.8589
Cu 0.1990 0.6040 0.5000
Cu 0.2562 0.1276 0.1402
Cu 0.3434 0.6709 0.8582
Cu 0.3942 0.2115 0.5000
Cu 0.4558 0.7285 0.1401
Cu 0.5442 0.2715 0.8599
Cu 0.6058 0.7885 0.5000
Cu 0.6566 0.3291 0.1418
Cu 0.7438 0.8724 0.8598
Cu 0.8010 0.3960 0.5000
Cu 0.8568 0.9281 0.1411
Cu 0.9433 0.4723 0.8582
O 0.0469 0.0235 0.1178
O 0.0519 0.2760 0.8808
O 0.0638 0.0319 0.6597
O 0.1000 0.8070 0.5000
O 0.1349 0.5690 0.3402
O 0.1485 0.3233 0.1197
O 0.1529 0.5763 0.8822
O 0.2471 0.6235 0.1179
O 0.2526 0.8760 0.8803
O 0.2625 0.6329 0.6597
O 0.2943 0.4122 0.5001
O 0.3466 0.1563 0.3479
O 0.3472 0.9232 0.1176
O 0.3530 0.1764 0.8821
O 0.4476 0.2238 0.1179
O 0.4528 0.4752 0.8805
O 0.4682 0.2172 0.6521
O 0.5318 0.7828 0.3479
O 0.5472 0.5248 0.1195
O 0.5524 0.7762 0.8821
O 0.6470 0.8236 0.1179
O 0.6528 0.0768 0.8824
O 0.6534 0.8437 0.6521
O 0.7057 0.5878 0.4999
O 0.7375 0.3671 0.3403
O 0.7474 0.1240 0.1197
O 0.7529 0.3765 0.8821
O 0.8471 0.4237 0.1178
O 0.8515 0.6767 0.8803
O 0.8651 0.4310 0.6598
O 0.9000 0.1930 0.5000
O 0.9362 0.9681 0.3403
O 0.9481 0.7240 0.1192
O 0.9531 0.9765 0.8822



No. 3
The following is a PBE-GGA calculation of Rb2Mg2Be3F12 after structural relaxation, from the Materials Project.

Output
Formation energy in eV/atom: -3.5788
Total energy in eV per atom: -5.36
Density in g/cm3: 3.1
Space-group type: P2_13

Cell: 10.1044 10.1044 10.1044 Å, 90.00 90.00 90.00°
Positions (direct):
Rb 0.0486 0.0486 0.0486
Rb 0.1838 0.3162 0.6838
Rb 0.3162 0.6838 0.1838
Rb 0.4514 0.9514 0.5486
Rb 0.5486 0.4514 0.9514
Rb 0.6838 0.1838 0.3162
Rb 0.8162 0.8162 0.8162
Rb 0.9514 0.5486 0.4514
Mg 0.0987 0.9013 0.4013
Mg 0.1653 0.6653 0.8347
Mg 0.3347 0.3347 0.3347
Mg 0.4013 0.0987 0.9013
Mg 0.5987 0.5987 0.5987
Mg 0.6653 0.8347 0.1653
Mg 0.8347 0.1653 0.6653
Mg 0.9013 0.4013 0.0987
- - -
5:8When John baptized Jesus, God spoke from heaven. He said, ‘This is my Son.’ See Matthew 17:5; Mark 9:7; Luke 9:35. When Jesus died on the cross, he did that as a sacrifice to save us from our sins. His blood was the blood of a sacrifice offered to God. 9 We believe people who tell us about things that they know. So we can believe even more what God says. He has told us what is true about his Son. So we should believe his message.
10 Anyone who believes in Jesus, the Son of God, will know that what God says is true. But anyone who does not believe God is saying that God tells lies. He does not believe the message that God has told us clearly about his Son. 11 This is what God has told us: God has given us life with him that never ends. We receive this life when we believe in his Son, Jesus. 12 So whoever belongs to the Son has this true life. But anyone who does not belong to the Son of God does not have this true life.
Christians have true life with God
13 I have written these things to you who believe that Jesus is the Son of God. I want you to know that you have true life with God for ever. 14 Also, we can trust God to help us when we turn to him. We know that he will hear us. When we ask for anything that he wants us to have, he listens to us. 15 Since we know that, we also know that God will give to us the things that we ask for. It is like we have already received those things from him.
16 If you see that another Christian is doing something bad, this is what you should do. If it is a sin that does not cause death, pray that God will help him. Then God will help that person to live for ever with him. That is for a sin which does not cause death. But there is a sin that causes death. If another Christian does that, I am not saying that you should pray for God to help that person. 17 Any wrong thing that a person does is sin. But not all sins cause death.
5:17‘A sin that causes death’ is when someone does a bad thing that takes him completely away from life with God. A sin like that causes a person to die in their spirit, so that they can no longer live with God for ever.
18 Nobody who has become a child of God continues to do wrong things. Instead, the Son of God keeps him safe. Satan cannot do anything against a child of God. 19 We know that we belong to God. We know that Satan rules all the people who belong to this world. 20 We also know that the Son of God has come into the world. He has helped us to understand what is true. As a result, we know the only true God. We live together with this true God, because we belong to his Son, Jesus Christ. He is the true God. He is the one who gives us life with God for ever.
5:18Or: ‘God keeps his children safe.’
21 My little children, be careful to keep away from idols.
5:21John is writing this letter to help Christians to know God better. He wants them to be sure that they have true life with God. If we trust in Jesus as the Son of God, we become God's children. God will hear us when we pray to him. He will give us the good things that he chooses for us. God will keep us safe from the power of Satan. He will help us to do what is good, so that we do not continue to do wrong things.